Germany embassy in Sudan stormed


New member
Oct 25, 2009
Tanis said:
Fappy said:
It's disgusting how easily a peaceful religion can get twisted and corrupted like this. Hopefully cooler-heads prevail and they can calm the radicals down.
You've never read the Qur'an/Koran if you think it's "peaceful".

These folks are not different then Christan lynch mobs were back in the Dark Ages or Puritans back in 'the old times'.

What the M.E. needs is to remove their theocracies and put in secular governments.
They just removed their secular governments...

what needs to happen is a middle eastern cultural revolution (and no, I'm not referrign to the Chinese one).

Radical Islam as a regional ideology has brought more international strife than it should be allowed to, IMO.

Of course the problem is that there is no clear way to eradicate radicalism. The US is in no good position to do something like that.

Adam Jensen_v1legacy

I never asked for this
Sep 8, 2011
So what these protesters are saying is: "Look at me! I'm so offended I can't control my emotions so I demand that you do it for me! Also deep down I know my religion is bullshit and my god doesn't exist, because he's not doing anything about this but I'm still filled with mindless rage! Look at me! I'm a moronic religious extremist and I'm proud of my idiocy!"


New member
Nov 25, 2010
There has to be more than this than just the movie. Sure, it's a big reason but these protests coinciding with 9/11 makes me think there is more than meets the eye.


New member
Aug 3, 2012
zehydra said:
Part of "freedom of speech" also guarantees that no physical harm will come to the speaker.
Since when? This is news to me. I'd really like you to site a reputable source for this one because I'm genuinely curious as to where this is stated in the amendment.

Even if it did it still falls under the offense principle which removes any social protections that his free speech rights granted.


It's not that I LIKE you b-baka!
Oct 12, 2011
Lyri said:
MammothBlade said:
Of course I do. The violent mob are primarily at fault, and I strongly side with the ideals of free speech and secularism over theocratic censorship and religious violence.

Define "hate speech". It is likely not what you think it is. And also, I, like you am a Brit, so I wouldn't exactly be wrapping them in stars and stripes. This goes beyond nationalism.
Then I will apologise for mistaken identity of nationality.

Yes the mob are responsible but you're shielding the spark that ignited the flames.
This is cause and effect and you can't overlook one to condemn the other, an anti-islamic film like the one created by the director is most definitely hate speech.
It didn't have to end this way. Sorry but one man's free expression should not be criminalised or blamed for these actions on principle. There are many ways this could have gone, but because some people are too blind to see beyond their religion they chose to take out their anger on innocent people. There was a similar reaction to the Mohammed cartoons, a violent and disproportionate outrage. This is not to say he shouldn't be criticised and held accountable for the contents of the film, but it is not his fault that a bunch of Muslims reacted in such a way. People have a right to be angry - they don't have the right to burn down buildings and kill because of it, and blaming him is in some way legitimising the reaction of the violent mob.

You can't have it both ways. Either free speech is protected or this sort of religious violence is justified.

JeffBergGold said:
Free speech does not mean immunity from outfall caused by said speech. It would be justice if we sent him over there to face the music imo. If he's a big enough man to make the film he should be a big enough man to face the consequences.
Yeah right, because instead of stoning him to death and dragging his carcass around the streets they'll actually listen to what he has to say.

That would be the worst form of betrayal, it sounds almost as if you're justifying religious violence in some way.

Suppose that what he actually said was something 100% truthful and which you personally agreed with, would it still be justified to send him off to the middle east to face his doom because someone took offence?

"I may disagree with what you say, but I will defend to the death your right to say it."


It's not that I LIKE you b-baka!
Oct 12, 2011
JeffBergGold said:
zehydra said:
Part of "freedom of speech" also guarantees that no physical harm will come to the speaker.
Since when? This is news to me. I'd really like you to site a reputable source for this one because I'm genuinely curious as to where this is stated in the amendment.

Even if it did it still falls under the offense principle which removes any social protections that his free speech rights granted.
I find your opinions extremely offensive, therefore you must be punished under the offence principle.


New member
Oct 25, 2009
JeffBergGold said:
zehydra said:
Part of "freedom of speech" also guarantees that no physical harm will come to the speaker.
Since when? This is news to me. I'd really like you to site a reputable source for this one because I'm genuinely curious as to where this is stated in the amendment.

Even if it did it still falls under the offense principle which removes any social protections that his free speech rights granted.
Of course it's not mentioned in the amendment. I'm not talking about freedom of speech as it applies to the US constitution, because that is a non-issue here anyway; we are dealing with a problem involving non-US citizens.

I'm talking about freedom of speech in general. No speech can be considered free if the threat of violence and violence itself are permissible reactions to said speech.


New member
Aug 3, 2011
In the UK there was a serious documentary on Islam, that has gained death threats and had to cancel its broadcast. Its retarded to be honest, all other religions are open to documentaries, ridicule or whatever. Not Islam, who when anyone writes or says anything they don't like they throw there toys out the pram and end up with innocent people dying. For a religions that's meant to be peaceful, its amazing how violent they are and how non of the moderate Muslims say a word against it.

Inserted here: materials data
-- begin --
Entry 1:
# Tb3ScC2S2
Calculated powder diffraction line list, Cu Ka. Input: a structure optimized by DFT (PBE).
Lines closer than 0.1° are merged.

Atomic structure:
Unit cell a=3.662 b=3.662 c=12.740 alpha=90.00 beta=90.00 gamma=120.00
Element x y z (fractional)
Tb1 0.000 0.000 0.000
Tb2 0.000 0.000 0.299
Tb3 0.333 0.667 0.785
Sc1 0.333 0.667 0.500
C1 0.667 0.333 0.404
C2 0.667 0.333 0.892
S1 0.000 0.000 0.633
S2 0.333 0.667 0.149

Most intense lines, 5 to 70 degrees two-theta, low angle first:
2θ = 6.94°, I = 25; 2θ = 28.13°, I = 33; 2θ = 29.01°, I = 40; 2θ = 35.32°, I = 100; 2θ = 49.79°, I = 29; 2θ = 62.51°, I = 20



Entry 2:
# Th3Cd4Hg2
Calculated powder diffraction line list, Cu Ka. Input: a structure optimized by DFT (PBE).
Lines closer than 0.1° are merged.

Atomic structure:
Unit cell a=7.583 b=7.583 c=4.679 alpha=90.00 beta=90.00 gamma=120.00
Element x y z (fractional)
Th1 0.000 0.567 0.000
Th2 0.433 0.433 0.000
Th3 0.567 0.000 0.000
Cd1 0.000 0.000 0.000
Cd2 0.000 0.240 0.500
Cd3 0.240 0.000 0.500
Cd4 0.760 0.760 0.500
Hg1 0.333 0.667 0.500
Hg2 0.667 0.333 0.500

Most intense lines, 5 to 70 degrees two-theta, low angle first:
2θ = 30.34°, I = 72; 2θ = 33.33°, I = 100; 2θ = 36.19°, I = 35; 2θ = 38.48°, I = 29; 2θ = 41.20°, I = 27; 2θ = 53.85°, I = 22



Entry 3:
# CsTm2Cu3Se5
Calculated powder diffraction line list, Cu Ka. Input: a structure optimized by DFT (PBE).
Lines closer than 0.1° are merged.

Atomic structure:
Unit cell a=7.618 b=7.618 c=17.224 alpha=90.00 beta=90.00 gamma=148.74
Element x y z (fractional)
Cs1 0.061 0.939 0.750
Cs2 0.939 0.061 0.250
Tm1 0.192 0.808 0.092
Tm2 0.192 0.808 0.408
Tm3 0.808 0.192 0.592
Tm4 0.808 0.192 0.908
Cu1 0.345 0.655 0.750
Cu2 0.417 0.583 0.033
Cu3 0.417 0.583 0.467
Cu4 0.583 0.417 0.533
Cu5 0.583 0.417 0.967
Cu6 0.655 0.345 0.250
Se1 0.170 0.830 0.570
Se2 0.170 0.830 0.930
Se3 0.238 0.762 0.250
Se4 0.437 0.563 0.612
Se5 0.437 0.563 0.888
Se6 0.563 0.437 0.112
Se7 0.563 0.437 0.388
Se8 0.762 0.238 0.750
Se9 0.830 0.170 0.070
Se10 0.830 0.170 0.430

Most intense lines, 5 to 70 degrees two-theta, low angle first:
2θ = 28.38°, I = 68; 2θ = 28.86°, I = 100; 2θ = 30.26°, I = 75; 2θ = 31.16°, I = 91; 2θ = 44.12°, I = 67; 2θ = 46.89°, I = 74



Entry 4:
# DyHo2Mg3CdGa2
Calculated powder diffraction line list, Cu Ka. Input: a structure optimized by DFT (PBE).
Lines closer than 0.1° are merged.

Atomic structure:
Unit cell a=4.455 b=7.354 c=7.354 alpha=120.10 beta=90.00 gamma=90.00
Element x y z (fractional)
Dy1 0.000 0.000 0.000
Ho1 0.000 0.137 0.568
Ho2 0.000 0.568 0.137
Mg1 0.500 0.319 0.319
Mg2 0.500 0.568 0.818
Mg3 0.500 0.818 0.568
Cd1 0.000 0.567 0.567
Ga1 0.500 0.235 0.901
Ga2 0.500 0.901 0.235

Most intense lines, 5 to 70 degrees two-theta, low angle first:
2θ = 19.93°, I = 27; 2θ = 28.03°, I = 38; 2θ = 31.56°, I = 49; 2θ = 34.64°, I = 100; 2θ = 40.49°, I = 21; 2θ = 56.03°, I = 22



Entry 5:
# CsSrZn
Calculated powder diffraction line list, Cu Ka. Input: a structure optimized by DFT (PBE).
-- stop --

Granted they may not like the movie, an its there right to protest it peacefully. But death threats and bombs? Really? They give there religion a bad name in the eyes of the world.


New member
Apr 20, 2009
Daystar Clarion said:
I never said the response would be justified :D

Just that's not an infallible defence to say what you want, when you want.
as much as I agree, leave it for now, Daystar.
We cannot kill the Dream D:

OT: this is getting pretty serious... hope the guy responsible will pay for it somewhen : D
(and seriously? burning holy scriptures? I might not believe in any god, and while I oppose quite some religious thoughts, that doesn't mean I won't pay any respect at all to religions. You simply do not trample on graves.
Fuck the "free speech" problem, this guy has no honor.)


New member
Jan 14, 2012
Jesus fucking Christ, there are people actually DEFENDING the radical's bloodthirsty rampage here?

Actually, you know what? Yes, let's turn this guy in. This way, we have an excuse to do the same thing to the ones in the United States spreading hate speech, just like this guy did, right? Right? Oh, I'm sorry, obviously because of RELIGION, we can't do anything. My mistake.

I'd probably become an atheist if I didn't actually believe in Christianity, because of shit like this.


New member
Jan 8, 2008
I haven't commented on here for a long, long time but I had to for this thread because after reading over a couple of pages I just felt depressed by the amount of people who are perfectly happy to sit back and watch people get killed by vicious mobs of lunatics over an incredibly poor film and happily lay blame on the film-maker instead of the people carrying out the murders.

How many people do Muslim fanatics have to kill or rights do they get to trample on before we call them on their own BS? Did they kill enough people after the Danish cartoons? Did they silence enough people going after Salman Rushdie or Ayaan Hirsi Ali? Have they burnt enough embassies and brutally murdered enough innocents who have no connection to the original offence?

Yet people line up to back up murderers? Say what you want about the teachings of Islam and the whole "religion of peace" line because it is getting tired and I worry for this world when people can't just be honest with the facts that having your religion criticized or a spiritual leader joked about does not give you license to run riot and kill people in the way they are killing people over this tripe. The Onion posted an images with Moses, Jesus, Buddha and Ganesha having sex with each other and the title of the picture is "Nobody was killed over this image" . . . . wake up!

As for the whole free speech argument I will leave you with this quote. "Freedom of speech means nothing if it does not mean the freedom of those who think differently"


New member
Nov 23, 2008
Elmoth said:
Fappy said:
It's disgusting how easily a peaceful religion can get twisted and corrupted like this. Hopefully cooler-heads prevail and they can calm the radicals down.
Personally I'm not so sure it's a peaceful religion.

The name of this video might seem hateful on islam, but it's a very reasonable presentation.
Seen this before and I can't argue against it. I've lived among Islamic culture and it was...



New member
May 16, 2010
One thing i would like to point out since when do we all have to follow a religion we do not believe?

Why should we cower in fear over some people that want to force their ideas onto everyone weither we believe them or not.

Is not the catholics saying our god is the real god and all you non believers can just shove off the reason the crusades got rolling?

I am sick of being pc because some lunatics threaten to kill and murder in the name of their prophet, because you might say he sucks or is about just as full of crap as every other religious figure that was shaped by men.

Grats to modern islam managing to drag itself into the ooze pit of history and show they are as petty and hateful as every other religion out there has ever been. Destroying ancient buddaist temples, killing innocent people in the name of religion, raping and murdering women and children, and condemning the whole of the western world for the bs of one person that noone ever heard about or gave two spits about until we all got blamed for it.

Grow up middle east, it is about time you wake up and realize your leaders keep you bound in hate so you do not sit around thinking about how grossly inept and corrupt your own leaders are in most cases. How they do tons to set these seeds of hate and feign ignorance when these things blow up.

And to you moderates out there, speak the hell up, spend as much time telling these murders and thugs that give your religion a black eye, and use your god as an excuse to murder pure and simple, that they are wrong more wrong that some ignorant punk that says something stupid, and sure as hell tell them that noone outside islam in any way shape or form is bound to your beliefs.

the clockmaker

New member
Jun 11, 2010
Daystar Clarion said:
omicron1 said:
Daystar Clarion said:
omicron1 said:
What bothers me is the US government's noncommittal response. By not defending our citizens actions (no matter if we personally agree or not), we are abandoning the freedoms laid forth in our constitution. If citizens of another nation can silence American citizens by protest, violence, and murder, then all that America stands for is truly dead.

Free Speech doesn't mean freedom from consequences.
This is not a consequence. This is a violent mob response to an "offensive" video (from a group who get murderous if you even DRAW He-Who-Must-Not-Be-Insulted). This is an American making a (poorly-produced) protected statement, and being thrown to the wolves in order to appease those same wolves.
In essence, the US is saying "These people's request that you not insult Islam matters more to us than your freedom of speech or expression."
Put it this way.

I child is poking a sleeping bear with a stick.

Now that child has all the right in the world to poke that bear with said stick.

Just don't be surprised when the bear wakes up and mauls him.

Freedom of speech isn't some infallible defence to say what you want. I'm sick of people claiming that it is, and that any action taken against someone because of what they said is impeding their 'rights'.
Okay, lots of problems here. and I stress that all referances to the perpetrators are aimed at the perpetrators only.

First, much as, apparently, people of both sides like to deny it, Muslims are people, not animals. This may sound like I'm teaching you to suck eggs, but these rioters, they chose to do this, they are human beings and they chose to attack an embasy and kill. They are not a force of nature, they are not a nessecary equal reaction, they are responsible for their actions. This means that if they respond negatively to someone exercising their rights across the globe, that is not a consequence, that is a fucking atrocity. The fact that you seem to think that muslims are just stimulus-reaction without any thought in the matter reeks of 'oh they're just muslims, they don't know any better'

Second, I was not aware that the filmaker was in any of these embassies, I mean, Personally, if I was going to play it off as the consequences of free speech, I would ensure that the person who actually had the audacity to say something someone else didn't like was the one who was 'punished' for his 'crime' and not some innocent people just doing their job.

Third, Freedom of speech, you claim that it isn't some infallible defence to say what you want, well, under certain circumstances, it isn't. It isn't a defence to be corrected, or a defence against being called a fuckwit, or peacefully protested against. It is however, a defence against harm. If you are harming, or threatening to harm someone for saying something that you dissaprove of, then you are definately breaching their human rights. That is the cearest redline imaginable, you cannot kill someone for saying something you dissaprove of. Think of it this way, if the government went in and started firing rockets at occupy wall street and attempting to gun down the protesters, and then tried to claim that, 'while they had freedom of speech, they were not protected from the consequences' would you be ok with that. Of course even then the it would be 'punishing' the occupy protesters for something they actually did, unlike the embasy staff.

Fourth, for something to be a provocation, it has to be something that a reasonable person would respond negatively to, and the degree of provocation also has to stand up to that metric. For example, I don't like being poked with sticks, you don't like being poked with sticks, it is a reasonable reaction to have, moving down, I don't like it when someone takes my parking spot, that is reasonable, but then it would not be reasonable to let the red mist descend and fire rockets into a crowd of innocent people. This film would be a reasonable provocation for a peaceful protest and a boycott of cinemas that showed it, but, and I can't stress this enough, not enough to attempt to use force of arms to silence people who made a shitty movie that you don't like.

[Unrelated to this article: crystal structures]
-- begin --
For TaNbCu6Se8, a cell relaxed with GGA-PBE gives the theoretical powder X-ray diffraction pattern in this record (Cu Kα).
Peak positions follow from Bragg's law for the DFT cell and can differ from measured ones.

```
16
Lattice="0.000 5.692 5.692 5.692 0.000 5.692 5.692 5.692 0.000" Properties=species:S:1:pos:R:3 pbc="T T T"
Ta 0.000 0.000 0.000
Nb 5.692 5.692 5.692
Cu 5.692 5.692 2.847
Cu 5.692 2.847 5.692
Cu 8.537 5.692 5.692
Cu 2.847 5.692 5.692
Cu 5.692 8.537 5.692
Cu 5.692 5.692 8.537
Se 7.118 4.266 4.266
Se 1.424 1.424 1.424
Se 4.268 4.268 1.424
Se 4.268 1.424 4.268
Se 4.266 7.118 4.266
Se 1.424 4.268 4.268
Se 4.266 4.266 7.118
Se 7.118 7.118 7.118
```

Principal peaks in the range 2θ = 5–70°, most intense first:
- 45.05°, d = 2.012 Å, rel. 100
- 15.57°, d = 5.692 Å, rel. 72
- 27.13°, d = 3.286 Å, rel. 66
- 35.26°, d = 2.546 Å, rel. 39
- 53.39°, d = 1.716 Å, rel. 29
- 47.95°, d = 1.897 Å, rel. 20
- 65.61°, d = 1.423 Å, rel. 16
- 67.90°, d = 1.380 Å, rel. 11
- 58.46°, d = 1.579 Å, rel. 9
- 22.09°, d = 4.025 Å, rel. 7


For NbCu3Te2Se2, a cell relaxed with GGA-PBE gives the theoretical powder X-ray diffraction pattern in this record (Cu Kα).
Peak positions follow from Bragg's law for the DFT cell and can differ from measured ones.

```
16
Lattice="8.205 0.000 0.000 0.000 8.363 0.000 0.000 0.000 5.839" Properties=species:S:1:pos:R:3 pbc="T T T"
Nb 0.000 0.000 0.000
Nb 4.103 4.181 0.000
Cu 0.000 0.000 2.870
Cu 2.051 2.091 0.058
Cu 2.051 6.272 0.058
Cu 4.103 4.181 2.870
Cu 6.154 2.091 0.058
Cu 6.154 6.272 0.058
Te 1.924 4.181 4.304
Te 2.179 0.000 4.304
Te 6.026 0.000 4.304
Te 6.282 4.181 4.304
Se 0.000 2.018 1.427
Se 0.000 6.345 1.427
Se 4.103 2.164 1.427
Se 4.103 6.199 1.427
```

Principal peaks in the range 2θ = 5–70°, most intense first:
- 43.79°, d = 2.067 Å, rel. 100
- 26.21°, d = 3.399 Å, rel. 77
- 26.55°, d = 3.357 Å, rel. 66
- 15.15°, d = 5.850 Å, rel. 56
- 52.05°, d = 1.757 Å, rel. 33
- 34.29°, d = 2.615 Å, rel. 30
- 43.28°, d = 2.091 Å, rel. 26
- 44.15°, d = 2.051 Å, rel. 24
- 51.50°, d = 1.775 Å, rel. 20
- 63.54°, d = 1.464 Å, rel. 15


For NbVCu6Se8, a cell relaxed with GGA-PBE gives the theoretical powder X-ray diffraction pattern in this record (Cu Kα).
Peak positions follow from Bragg's law for the DFT cell and can differ from measured ones.

```
16
Lattice="5.650 0.000 0.000 0.000 5.650 0.000 0.000 0.000 11.293" Properties=species:S:1:pos:R:3 pbc="T T T"
Nb 0.000 0.000 0.000
V 0.000 0.000 5.646
Cu 0.000 0.000 2.844
Cu 0.000 0.000 8.449
Cu 0.000 2.825 0.000
Cu 0.000 2.825 5.646
Cu 2.825 0.000 0.000
Cu 2.825 0.000 5.646
Se 1.366 1.366 7.008
Se 1.366 4.284 4.285
Se 1.422 1.422 1.425
Se 1.422 4.227 9.868
Se 4.227 1.422 9.868
Se 4.227 4.227 1.425
Se 4.284 1.366 4.285
Se 4.284 4.284 7.008
```

Principal peaks in the range 2θ = 5–70°, most intense first:
- 45.42°, d = 1.997 Å, rel. 100
- 27.35°, d = 3.261 Å, rel. 91
- 15.69°, d = 5.648 Å, rel. 49
- 53.83°, d = 1.703 Å, rel. 40
- 35.54°, d = 2.526 Å, rel. 21
-- stop --


New member
Sep 20, 2008
DeltasDix said:
This proves that members of the Escapist don't know politics.

Freedom of speech is not always free, since in the UK we have a Negative free spUIP bill meaning you cant run around and say death to all muslims/infidels etc. and say you cant do shit because its freedom of speech.

Also alot of this threads has people saying "well in America freedom of speech etc." which to me smacks of arrogance as in you cannot get bitchy when someone else doesnt live in the same culture as you and lives under different laws with different views and attitudes.

People claim to have read the Qu'ran, yet to read a book and to understand a book are two totally different things.

The violence is totally abhorrent and cannot be supported in anyway, but if your going to offend people on a topic as sensitive as religion in an area that has suffered quite alot of hardship in the last few decades at the hands of certain superpowers.

Lets hope regardless that the violence subsides before anymore death is dealt. Muslim,American or otherwise


New member
Mar 2, 2011
tangoprime said:
Daystar Clarion said:
tangoprime said:
Daystar Clarion said:
omicron1 said:
Daystar Clarion said:
omicron1 said:
What bothers me is the US government's noncommittal response. By not defending our citizens actions (no matter if we personally agree or not), we are abandoning the freedoms laid forth in our constitution. If citizens of another nation can silence American citizens by protest, violence, and murder, then all that America stands for is truly dead.

Free Speech doesn't mean freedom from consequences.
This is not a consequence. This is a violent mob response to an "offensive" video (from a group who get murderous if you even DRAW He-Who-Must-Not-Be-Insulted). This is an American making a (poorly-produced) protected statement, and being thrown to the wolves in order to appease those same wolves.
In essence, the US is saying "These people's request that you not insult Islam matters more to us than your freedom of speech or expression."
Put it this way.

I child is poking a sleeping bear with a stick.

Now that child has all the right in the world to poke that bear with said stick.

Just don't be surprised when the bear wakes up and mauls him.

Freedom of speech isn't some infallible defence to say what you want. I'm sick of people claiming that it is, and that any action taken against someone because of what they said is impeding their 'rights'.
So what you're saying is that these people performing these actions on behalf of their particular fairy tale character are comparible to undomesticated animals who attack what they don't understand? On this, we agree.
That's not what I'm saying at all.

Nice attempt at putting words in my mouth though.
I apologize for attempting to put words in your mouth, as true as they are. These people are acting like undomesticated animals. Show me another culture in the modern world that reacts this violently to someone saying something on the other side of the world that hurts their feelings. Show me another religion that, at this time in history, flips shit and thinks murder, pain, and destruction is a valid response to someone SAYING something with which they don't agree.

[Materials data from another source follow]
********
Record 1
# ScMo3O8
Computed powder diffraction line list, Cu Kα (λ = 1.5418 Å). Input: a PBE+U-relaxed structure.
Neutral-atom scattering factors, no anomalous dispersion.

Cell and atoms:
a = 4.624 Å, b = 6.064 Å, c = 6.087 Å
α = 119.38°, β = 90.33°, γ = 90.16°
Space group P1 (No. 1)
Symmetry-distinct sites (fractional):
Sc (0.000, 0.000, 0.000) (multiplicity 1)
Mo (0.500, 0.000, 0.499) (multiplicity 1)
Mo (0.500, 0.499, 0.999) (multiplicity 1)
Mo (0.500, 0.501, 0.499) (multiplicity 1)
O (0.264, 0.318, 0.658) (multiplicity 1)
O (0.265, 0.336, 0.170) (multiplicity 1)
O (0.267, 0.831, 0.168) (multiplicity 1)
O (0.268, 0.839, 0.654) (multiplicity 1)
O (0.731, 0.163, 0.345) (multiplicity 1)
O (0.734, 0.169, 0.831) (multiplicity 1)
O (0.735, 0.664, 0.828) (multiplicity 1)
O (0.736, 0.682, 0.340) (multiplicity 1)

Peak list (6 most intense, 10° ≤ 2θ ≤ 90°, in order of rising 2θ)
(hkl), 2θ (°), I (rel.)
1 0 0, 19.19, 100
1 0 -1, 25.48, 31
1 -1 1, 25.68, 58
1 0 2, 39.32, 33
1 2 -2, 39.48, 32
2 2 -2, 52.77, 57



Record 2
# ScMo3O8
Computed powder diffraction line list, Cu Kα (λ = 1.5418 Å). Input: a PBE+U-relaxed structure.
Neutral-atom scattering factors, no anomalous dispersion.

Cell and atoms:
a = 5.8610 Å, b = 5.8610 Å, c = 10.2131 Å
α = 90.00°, β = 90.00°, γ = 120.00°
Space group P6_3mc (No. 186)
Symmetry-distinct sites (fractional):
Sc (0.3333, 0.6667, 0.0000) (multiplicity 2)
Mo (0.1511, 0.3023, 0.7446) (multiplicity 6)
O (0.0000, 0.0000, 0.3822) (multiplicity 2)
O (0.0314, 0.5157, 0.8542) (multiplicity 6)
O (0.1686, 0.3372, 0.1297) (multiplicity 6)
O (0.3333, 0.6667, 0.6481) (multiplicity 2)

Peak list (6 most intense, 10° ≤ 2θ ≤ 90°, in order of rising 2θ)
(hkl), 2θ (°), I (rel.)
0 0 2, 17.37, 100
1 0 1, 19.53, 46
1 0 2, 24.73, 33
1 1 2, 35.33, 38
2 0 1, 36.48, 52
2 0 3, 44.53, 55



Record 3
# ScMo3O8
Computed powder diffraction line list, Cu Kα (λ = 1.5418 Å). Input: a PBE+U-relaxed structure.
Neutral-atom scattering factors, no anomalous dispersion.

Cell and atoms:
a = 4.552 Å, b = 6.086 Å, c = 6.193 Å
α = 119.22°, β = 90.63°, γ = 90.27°
Space group P1 (No. 1)
Symmetry-distinct sites (fractional):
Sc (0.000, 0.000, 0.000) (multiplicity 1)
Mo (0.492, 0.506, 0.509) (multiplicity 1)
Mo (0.496, 0.502, 0.007) (multiplicity 1)
Mo (0.501, 0.006, 0.503) (multiplicity 1)
O (0.263, 0.840, 0.659) (multiplicity 1)
O (0.265, 0.322, 0.669) (multiplicity 1)
O (0.265, 0.340, 0.178) (multiplicity 1)
O (0.265, 0.834, 0.175) (multiplicity 1)
O (0.725, 0.684, 0.346) (multiplicity 1)
O (0.728, 0.171, 0.836) (multiplicity 1)
O (0.729, 0.663, 0.834) (multiplicity 1)
O (0.730, 0.166, 0.353) (multiplicity 1)

Peak list (6 most intense, 10° ≤ 2θ ≤ 90°, in order of rising 2θ)
(hkl), 2θ (°), I (rel.)
1 0 0, 19.50, 100
1 -1 1, 25.80, 44
0 0 2, 33.15, 28
1 0 2, 39.05, 59
1 2 -2, 39.31, 28
2 2 -2, 52.98, 32



Record 4
# ScMo3O8
Computed powder diffraction line list, Cu Kα (λ = 1.5418 Å). Input: a PBE+U-relaxed structure.
********

All they're doing is proving that there's no place in the international community for a culture who haven't yet discovered that words aren't worth taking life over. The only correct reponse here is to cut off all ties, get our people out of the region, get our money out of the region, and let them live in their dirt to kill each other once they don't have us as an outlet for their aggression.

Not religion, but you should find the similarities.